Job:
Transcribe all of the lines underneath without altering anything.

File:
No. 1
DFT (PBE) results for an optimized crystal structure of TaOs2I.

Unit cell a=5.8164 b=5.8164 c=7.2124 alpha=66.22 beta=66.22 gamma=90.00
Sites, in units of the cell vectors:
I  0.5000  0.5000  0.0000
I  0.2500  0.7500  0.5000
Os  0.6333  0.1250  0.2500
Os  0.1167  0.6250  0.2500
Os  0.3750  0.3667  0.7500
Os  0.8750  0.8833  0.7500
Ta  0.0000  0.0000  0.0000
Ta  0.7500  0.2500  0.5000

The distance to the lowest polymorph of the same formula comes out at 0.140 eV/atom. The space group is I-42d, No. 122. The calculation puts the size of the total moment at 0.00 μB per cell. The value obtained for the formation energy from raw total energies is 1.307 eV/atom.

No. 2
DFT (PBE) results for an optimized crystal structure of Cu2SO4.

Unit cell a=4.9340 b=4.9340 c=5.1840 alpha=118.42 beta=118.42 gamma=90.00
Sites, in units of the cell vectors:
Cu  0.7500  0.2500  0.5000
Cu  0.2500  0.7500  0.5000
S  0.5000  0.5000  0.0000
O  0.7886  0.4341  0.2227
O  0.4341  0.7886  0.2227
O  0.5659  0.5659  0.7773
O  0.2114  0.2114  0.7773

The distance to the lowest polymorph of the same formula comes out at 0.082 eV/atom. The space group is I-42m, No. 121. The calculation puts the size of the total moment at 0.00 μB per cell. The value obtained for the formation energy from raw total energies is -0.789 eV/atom.

=====

A plane-wave DFT calculation with GGA-PBE was carried out for crystalline ScAgPt2 at its relaxed geometry.

abc: 4.141 4.141 3.891
angles: 90.00 90.00 90.00
Atoms (fractional coordinates):
Sc: 0.000 0.000 0.000
Ag: 0.500 0.500 0.000
Pt: 0.000 0.500 0.500
Pt: 0.500 0.000 0.500

Space-group type = P4/mmm (123)
ρ = 13.52 g/cm³
Magnetization = 0.0 μB/f.u.
E_form = -0.81 eV/atom

=====

# 1
DFT (PBE) results for an optimized crystal structure of Tb6Sm2Dy3Zr.

Cell and atoms, written as CIF:
```
data_Tb6Sm2Dy3Zr
_symmetry_space_group_name_H-M 'P 1'
_symmetry_Int_Tables_number 1
_cell_length_a 6.115
_cell_length_b 6.115
_cell_length_c 11.697
_cell_angle_alpha 94.96
_cell_angle_beta 94.96
_cell_angle_gamma 119.92
loop_
_symmetry_equiv_pos_as_xyz
'x,y,z'
loop_
_atom_site_label
_atom_site_fract_x
_atom_site_fract_y
_atom_site_fract_z
Tb1 0.918 0.591 0.753
Tb2 0.756 0.756 0.246
Tb3 0.082 0.409 0.247
Tb4 0.591 0.918 0.753
Tb5 0.244 0.244 0.754
Tb6 0.409 0.082 0.247
Sm1 0.333 0.667 0.000
Sm2 0.667 0.333 0.000
Dy1 0.166 0.834 0.500
Dy2 0.834 0.166 0.500
Dy3 0.500 0.500 0.500
Zr1 0.000 0.000 0.000
```

Results
Symmetry ... No. 12
Formation energy from the elements ... 0.58 eV per formula unit
DOS(E_F) ... 14.801 states/eV/cell
V ... 31.11 A^3/atom

***

# 2
DFT (PBE) results for an optimized crystal structure of SmDyTc4.

Cell and atoms, written as CIF:
```
data_SmDyTc4
_symmetry_space_group_name_H-M 'P 1'
_symmetry_Int_Tables_number 1
_cell_length_a 5.433
_cell_length_b 5.433
_cell_length_c 5.433
_cell_angle_alpha 60.00
_cell_angle_beta 60.00
_cell_angle_gamma 60.00
loop_
_symmetry_equiv_pos_as_xyz
'x,y,z'
loop_
_atom_site_label
_atom_site_fract_x
_atom_site_fract_y
_atom_site_fract_z
Tc1 0.625 0.625 0.125
Tc2 0.625 0.125 0.625
Tc3 0.625 0.625 0.625
Tc4 0.125 0.625 0.625
Sm1 0.250 0.250 0.250
Dy1 0.000 0.000 0.000
```

Results
Symmetry ... No. 216
Formation energy from the elements ... -0.45 eV per formula unit
DOS(E_F) ... 9.102 states/eV/cell
V ... 18.90 A^3/atom

***

# 3
DFT (PBE) results for an optimized crystal structure of Sm3DyTc8.

Cell and atoms, written as CIF:
```
data_Sm3DyTc8
_symmetry_space_group_name_H-M 'P 1'
_symmetry_Int_Tables_number 1
_cell_length_a 5.417
_cell_length_b 5.417
_cell_length_c 9.520
_cell_angle_alpha 73.47
_cell_angle_beta 73.47
_cell_angle_gamma 60.00
loop_
_symmetry_equiv_pos_as_xyz
'x,y,z'
loop_
_atom_site_label
_atom_site_fract_x
_atom_site_fract_y
_atom_site_fract_z
Sm1 0.375 0.375 0.876
Sm2 0.000 0.000 0.000
Sm3 0.500 0.500 0.500
Dy1 0.875 0.875 0.374
Tc1 0.936 0.437 0.190
Tc2 0.439 0.938 0.685
Tc3 0.437 0.437 0.190
Tc4 0.938 0.938 0.685
Tc5 0.188 0.188 0.437
Tc6 0.687 0.687 0.938

Reply:
No. 1
DFT (PBE) results for an optimized crystal structure of TaOs2I.

Unit cell a=5.8164 b=5.8164 c=7.2124 alpha=66.22 beta=66.22 gamma=90.00
Sites, in units of the cell vectors:
I  0.5000  0.5000  0.0000
I  0.2500  0.7500  0.5000
Os  0.6333  0.1250  0.2500
Os  0.1167  0.6250  0.2500
Os  0.3750  0.3667  0.7500
Os  0.8750  0.8833  0.7500
Ta  0.0000  0.0000  0.0000
Ta  0.7500  0.2500  0.5000

The distance to the lowest polymorph of the same formula comes out at 0.140 eV/atom. The space group is I-42d, No. 122. The calculation puts the size of the total moment at 0.00 μB per cell. The value obtained for the formation energy from raw total energies is 1.307 eV/atom.

No. 2
DFT (PBE) results for an optimized crystal structure of Cu2SO4.

Unit cell a=4.9340 b=4.9340 c=5.1840 alpha=118.42 beta=118.42 gamma=90.00
Sites, in units of the cell vectors:
Cu  0.7500  0.2500  0.5000
Cu  0.2500  0.7500  0.5000
S  0.5000  0.5000  0.0000
O  0.7886  0.4341  0.2227
O  0.4341  0.7886  0.2227
O  0.5659  0.5659  0.7773
O  0.2114  0.2114  0.7773

The distance to the lowest polymorph of the same formula comes out at 0.082 eV/atom. The space group is I-42m, No. 121. The calculation puts the size of the total moment at 0.00 μB per cell. The value obtained for the formation energy from raw total energies is -0.789 eV/atom.

=====

A plane-wave DFT calculation with GGA-PBE was carried out for crystalline ScAgPt2 at its relaxed geometry.

abc: 4.141 4.141 3.891
angles: 90.00 90.00 90.00
Atoms (fractional coordinates):
Sc: 0.000 0.000 0.000
Ag: 0.500 0.500 0.000
Pt: 0.000 0.500 0.500
Pt: 0.500 0.000 0.500

Space-group type = P4/mmm (123)
ρ = 13.52 g/cm³
Magnetization = 0.0 μB/f.u.
E_form = -0.81 eV/atom

=====

# 1
DFT (PBE) results for an optimized crystal structure of Tb6Sm2Dy3Zr.

Cell and atoms, written as CIF:
```
data_Tb6Sm2Dy3Zr
_symmetry_space_group_name_H-M 'P 1'
_symmetry_Int_Tables_number 1
_cell_length_a 6.115
_cell_length_b 6.115
_cell_length_c 11.697
_cell_angle_alpha 94.96
_cell_angle_beta 94.96
_cell_angle_gamma 119.92
loop_
_symmetry_equiv_pos_as_xyz
'x,y,z'
loop_
_atom_site_label
_atom_site_fract_x
_atom_site_fract_y
_atom_site_fract_z
Tb1 0.918 0.591 0.753
Tb2 0.756 0.756 0.246
Tb3 0.082 0.409 0.247
Tb4 0.591 0.918 0.753
Tb5 0.244 0.244 0.754
Tb6 0.409 0.082 0.247
Sm1 0.333 0.667 0.000
Sm2 0.667 0.333 0.000
Dy1 0.166 0.834 0.500
Dy2 0.834 0.166 0.500
Dy3 0.500 0.500 0.500
Zr1 0.000 0.000 0.000
```

Results
Symmetry ... No. 12
Formation energy from the elements ... 0.58 eV per formula unit
DOS(E_F) ... 14.801 states/eV/cell
V ... 31.11 A^3/atom

***

# 2
DFT (PBE) results for an optimized crystal structure of SmDyTc4.

Cell and atoms, written as CIF:
```
data_SmDyTc4
_symmetry_space_group_name_H-M 'P 1'
_symmetry_Int_Tables_number 1
_cell_length_a 5.433
_cell_length_b 5.433
_cell_length_c 5.433
_cell_angle_alpha 60.00
_cell_angle_beta 60.00
_cell_angle_gamma 60.00
loop_
_symmetry_equiv_pos_as_xyz
'x,y,z'
loop_
_atom_site_label
_atom_site_fract_x
_atom_site_fract_y
_atom_site_fract_z
Tc1 0.625 0.625 0.125
Tc2 0.625 0.125 0.625
Tc3 0.625 0.625 0.625
Tc4 0.125 0.625 0.625
Sm1 0.250 0.250 0.250
Dy1 0.000 0.000 0.000
```

Results
Symmetry ... No. 216
Formation energy from the elements ... -0.45 eV per formula unit
DOS(E_F) ... 9.102 states/eV/cell
V ... 18.90 A^3/atom

***

# 3
DFT (PBE) results for an optimized crystal structure of Sm3DyTc8.

Cell and atoms, written as CIF:
```
data_Sm3DyTc8
_symmetry_space_group_name_H-M 'P 1'
_symmetry_Int_Tables_number 1
_cell_length_a 5.417
_cell_length_b 5.417
_cell_length_c 9.520
_cell_angle_alpha 73.47
_cell_angle_beta 73.47
_cell_angle_gamma 60.00
loop_
_symmetry_equiv_pos_as_xyz
'x,y,z'
loop_
_atom_site_label
_atom_site_fract_x
_atom_site_fract_y
_atom_site_fract_z
Sm1 0.375 0.375 0.876
Sm2 0.000 0.000 0.000
Sm3 0.500 0.500 0.500
Dy1 0.875 0.875 0.374
Tc1 0.936 0.437 0.190
Tc2 0.439 0.938 0.685
Tc3 0.437 0.437 0.190
Tc4 0.938 0.938 0.685
Tc5 0.188 0.188 0.437
Tc6 0.687 0.687 0.938